See below for JUFJ’s testimony on Health Insurance – Qualified Resident Enrollment Program (Access to Care Act), SB365/HB588. JUFJ’s position of this bill was favorable with amendments. Anna Rubin wrote this testimony.
These materials data were left in the piece by mistake >
=====
[1]
Starting from a cell relaxed with GGA-PBE, the powder diffraction line list of HoB4Pb was computed for a wavelength of 1.5418 Å.
Kinematic intensities with the Lorentz-polarization factor, no thermal factor.

Structure:
abc: 3.2446 3.2446 8.4495
angles: 90.00 90.00 120.00
Space group P6/mmm (No. 191)
One atom of each set of equivalent atoms:
Ho 0.0000 0.0000 0.0000
B 0.3333 0.6667 0.2216
Pb 0.0000 0.0000 0.5000

The 10 most intense peaks (10 to 90 degrees two-theta), sorted by position:
- hkl 0 0 2, 2θ = 21.0°, I 569
- hkl 1 0 0, 2θ = 31.8°, I 703
- hkl 1 0 2, 2θ = 38.5°, I 1000
- hkl 0 0 4, 2θ = 42.8°, I 129
- hkl 1 0 4, 2θ = 54.3°, I 328
- hkl 1 1 0, 2θ = 56.7°, I 174
- hkl 1 1 2, 2θ = 61.2°, I 212
- hkl 2 0 2, 2θ = 70.7°, I 170
- hkl 1 1 4, 2θ = 73.6°, I 158
- hkl 1 0 6, 2θ = 75.5°, I 138


[2]
Starting from a cell relaxed with GGA-PBE, the powder diffraction line list of TlMoAuSeS2 was computed for a wavelength of 1.5418 Å.
Kinematic intensities with the Lorentz-polarization factor, no thermal factor.

Structure:
abc: 3.3950 16.2506 9.8786
angles: 90.00 90.00 90.00
Space group Cmcm (No. 63)
One atom of each set of equivalent atoms:
Tl 0.0000 0.1931 0.2500
Mo 0.0000 0.5000 0.0000
Au 0.0000 0.1532 0.7500
Se 0.0000 0.4675 0.7500
S 0.0000 0.1090 0.5224

The 10 most intense peaks (10 to 90 degrees two-theta), sorted by position:
- hkl 0 0 2, 2θ = 18.0°, I 555
- hkl 0 2 2, 2θ = 21.0°, I 549
- hkl 1 3 0, 2θ = 31.1°, I 1000
- hkl 1 3 1, 2θ = 32.4°, I 358
- hkl 0 6 1, 2θ = 34.3°, I 292
- hkl 1 3 2, 2θ = 36.1°, I 396
- hkl 0 0 4, 2θ = 36.4°, I 415
- hkl 1 5 2, 2θ = 42.6°, I 292
- hkl 1 3 4, 2θ = 48.6°, I 566
- hkl 1 9 1, 2θ = 58.6°, I 248
=====
My name is Anna Rubin and I am a resident of District 13, in Columbia. On behalf of Jews United for Justice (JUFJ), I am submitting this testimony in support of SB365/HB588 – Health Insurance – Qualified Resident Enrollment Program (Access to Care Act), with amendments to ensure affordability. JUFJ organizes 6,000 Jews and allies from across the state in support of social, racial, and economic justice campaigns.
The issue of ACA inclusion of people regardless of immigration status is personal for me. I’m the child of immigrants who fled persecution in Europe over a century ago. I also adopted a child from Peru during the 1990s, a time when poverty and terrorism affected many Peruvians. And within the past six years I’ve joined an effort to support two refugee families. In particular, I’ve been part of a team helping a woman, ‘J’, and son who sought asylum in the United States after fleeing persecution in Honduras three years ago. Friends of mine sheltered them during the period when this family had no resources or support. It was very challenging to find medical care when J faced a miscarriage soon after she arrived. Since she was uninsured, the medical costs were astronomical. We worked to find a medical provider who would care for her at a reduced rate. The other was a refugee family of seven who came from Syria in 2016 via four years in a Jordanian refugee camp. They came through a federal program to put them on a path to citizenship and provide support while they established themselves in the United States. Part of that support included immediate access to Medicaid. The care they received was crucial, particularly because they went several years without medical care through their crisis. Healthcare has been vital as the children dealt with a slate of childhood diseases, the mother went through pregnancy and childbirth, and the father struggled with serious back injuries.
Inserted here: crystal structures:
____________
# 1
Structure and computed powder X-ray diffraction pattern of CdH6CBr3N3 (DFT lattice parameters and positions (GGA-PBE); Cu Kα (λ = 1.5418 Å)).
Intensities are scaled so that the largest is 1000.

Lattice parameters (Å, degrees): 8.9863 8.9863 7.6047 97.75 97.75 129.46
Positions (direct):
Cd1 0.0492 0.9508 0.7500
Cd2 0.9508 0.0492 0.2500
H1 0.1590 0.7730 0.1292
H2 0.2270 0.8410 0.3708
H3 0.2780 0.6409 0.9715
H4 0.3473 0.5272 0.0858
H5 0.3591 0.7220 0.5285
H6 0.4728 0.6527 0.4142
H7 0.5272 0.3473 0.5858
H8 0.6409 0.2780 0.4715
H9 0.6527 0.4728 0.9142
H10 0.7220 0.3591 0.0285
H11 0.7730 0.1590 0.6292
H12 0.8410 0.2270 0.8708
C1 0.3072 0.6928 0.2500
C2 0.6928 0.3072 0.7500
Br1 0.1963 0.2778 0.6357
Br2 0.2107 0.7893 0.7500
Br3 0.2778 0.1963 0.1357
Br4 0.7222 0.8037 0.8643
Br5 0.7893 0.2107 0.2500
Br6 0.8037 0.7222 0.3643
N1 0.2250 0.7750 0.2500
N2 0.3073 0.6110 0.0898
N3 0.3890 0.6927 0.4102
N4 0.6110 0.3073 0.5898
N5 0.6927 0.3890 0.9102
N6 0.7750 0.2250 0.7500

Top 10 peaks for 2θ from 10° to 80°, by intensity:
2θ 13.3, I = 1000
2θ 10.9, I = 847
2θ 31.4, I = 823
2θ 26.1, I = 617
2θ 31.1, I = 584
2θ 21.8, I = 568
2θ 24.7, I = 447
2θ 41.1, I = 431
2θ 15.3, I = 401
2θ 38.0, I = 397



# 2
Structure and computed powder X-ray diffraction pattern of CuGeI3 (DFT lattice parameters and positions (GGA-PBE); Cu Kα (λ = 1.5418 Å)).
Intensities are scaled so that the largest is 1000.

Lattice parameters (Å, degrees): 7.9401 7.9401 7.9401 118.64 118.64 92.37
Positions (direct):
Cu1 0.2500 0.7500 0.5000
Cu2 0.7500 0.2500 0.5000
Ge1 0.0000 0.0000 0.0000
Ge2 0.5000 0.5000 0.0000
I1 0.1596 0.6596 0.8191
I2 0.2500 0.2500 0.0000
I3 0.3404 0.1596 0.5000
I4 0.6596 0.8404 0.5000
I5 0.7500 0.7500 0.0000
I6 0.8404 0.3404 0.1809

Top 10 peaks for 2θ from 10° to 80°, by intensity:
2θ 25.9, I = 1000
2θ 27.3, I = 599
2θ 32.6, I = 506
2θ 34.8, I = 457
2θ 35.0, I = 430
2θ 31.2, I = 415
2θ 48.6, I = 338
2θ 45.7, I = 282
2θ 21.9, I = 278
2θ 61.3, I = 266



# 3
Structure and computed powder X-ray diffraction pattern of PbClO (DFT lattice parameters and positions (GGA-PBE); Cu Kα (λ = 1.5418 Å)).
Intensities are scaled so that the largest is 1000.

Lattice parameters (Å, degrees): 6.9835 3.8777 9.1903 90.00 90.00 90.00
Positions (direct):
Pb1 0.1918 0.2500 0.0786
Pb2 0.3082 0.7500 0.5786
Pb3 0.6918 0.2500 0.4214
Pb4 0.8082 0.7500 0.9214
Cl1 0.0265 0.7500 0.3272
Cl2 0.4735 0.2500 0.8272
Cl3 0.5265 0.7500 0.1728
Cl4 0.9735 0.2500 0.6728
O1 0.1304 0.7500 0.9633
O2 0.3696 0.2500 0.4633
O3 0.6304 0.7500 0.5367
O4 0.8696 0.2500 0.0367

Top 10 peaks for 2θ from 10° to 80°, by intensity:
2θ 28.1, I = 1000
2θ 23.2, I = 695
2θ 37.4, I = 453
2θ 39.9, I = 349
2θ 19.3, I = 276
2θ 15.9, I = 255
2θ 32.8, I = 245
2θ 45.8, I = 240
2θ 36.0, I = 219
2θ 41.4, I = 213



# 4
Structure and computed powder X-ray diffraction pattern of KPH5C2SN3O4 (DFT lattice parameters and positions (GGA-PBE); Cu Kα (λ = 1.5418 Å)).
Intensities are scaled so that the largest is 1000.
____________
End of the crystal structures:
With both families, I’ve watched them find work, support their children’s education, and find a place in their communities. They couldn’t have done this without health care, and they are part of a lucky few. More than 275,000 undocumented immigrants in Maryland are ineligible for care through the Maryland Health Benefit Exchange. To achieve the American dream, one needs access to quality, affordable care.
Passing SB365/HB588 would require the Maryland Health Benefit Exchange to establish and operate the Qualified Resident Enrollment Program, which would make qualified plans available to all Marylanders who meet the regular ACA eligibility criteria. It is essential that this coverage is subsidized at the same rate as all other Maryland participants to ensure it is actually affordable enough for people to purchase. Everyone should have access to the highest attainable standard of health services, and no one should get sick or die because of their income or immigration status. Including undocumented people in the ACA is humane, helps prevent the spread of infectious diseases like COVID-19, maintains a healthy workforce, and saves money by reducing the reliance on emergency rooms. Passing SB365/HB588 would make our state a safer, healthier place for all.
_The piece is interrupted by crystal structures_
<<<
Calculated X-ray powder pattern
Compound: LiMn3O5F
Radiation: Cu Kα (λ = 1.5418 Å)
Structure: a structure optimized by DFT (GGA+U)
Neutral-atom scattering factors, no anomalous dispersion.

Top 6 peaks for 10 to 90 degrees two-theta, sorted by position:
(0 0 1), 2θ 19.18, d 4.626, I 95.1
(0 1 0), 2θ 22.78, d 3.903, I 92.8
(1 0 -1), 2θ 24.38, d 3.651, I 85.8
(1 -1 1), 2θ 24.50, d 3.633, I 94.5
(1 0 1), 2θ 32.09, d 2.789, I 93.5
(1 1 -1), 2θ 34.21, d 2.621, I 100.0

Cell and atoms:
abc: 4.963 5.107 5.389
angles: 117.12 90.07 117.12
Element x y z (fractional)
Li1 0.000 0.000 0.000
Mn1 0.242 0.427 0.620
Mn2 0.567 0.070 0.560
Mn3 0.776 0.487 0.167
O1 0.175 0.977 0.375
O2 0.489 0.600 0.387
O3 0.609 0.520 0.849
O4 0.868 0.286 0.361
O5 0.951 0.266 0.841
F1 0.326 0.905 0.858

~~~~~

Computed powder X-ray diffraction pattern
Compound: BiPd12Pb3
Radiation: Cu Kα X-rays
Structure: a PBE-relaxed structure
Intensities are scaled so that the largest is 100.

Top 6 peaks for 2θ from 10° to 80°, in order of rising 2θ:
(hkl), two_theta, intensity
1 1 4, 37.9, 100
2 0 0, 44.0, 33
0 0 8, 44.1, 16
2 2 0, 64.0, 32
3 1 4, 76.8, 25
1 1 12, 76.9, 13

Cell and atoms:
```
data_BiPd12Pb3
_cell_length_a 4.119
_cell_length_b 4.119
_cell_length_c 16.434
_cell_angle_alpha 90.00
_cell_angle_beta 90.00
_cell_angle_gamma 90.00
_space_group_name_H-M_alt 'P 4/m m m'
_space_group_IT_number 123
_space_group_name_Hall '-P 4 2'
loop_
_atom_site_label
_atom_site_type_symbol
_atom_site_fract_x
_atom_site_fract_y
_atom_site_fract_z
Bi1 Bi 0.000 0.000 0.000
Pd1 Pd 0.000 0.500 0.126
Pd2 Pd 0.000 0.500 0.375
Pd3 Pd 0.500 0.500 0.000
Pd4 Pd 0.500 0.500 0.250
Pd5 Pd 0.500 0.500 0.500
Pb1 Pb 0.000 0.000 0.252
Pb2 Pb 0.000 0.000 0.500
```

Computed powder X-ray diffraction pattern
Compound: Ca4GeN
Radiation: Cu Kα X-rays
Structure: a PBE-relaxed structure
Intensities are scaled so that the largest is 100.

Top 6 peaks for 2θ from 10° to 80°, in order of rising 2θ:
(hkl), two_theta, intensity
2 0 -1, 16.2, 52
2 2 0, 28.7, 90
4 0 1, 30.5, 89
2 2 1, 33.2, 49
4 2 -1, 36.4, 78
0 2 2, 38.6, 100

Cell and atoms:
```
data_Ca4GeN
_cell_length_a 15.136
_cell_length_b 6.857
_cell_length_c 6.539
_cell_angle_alpha 90.00
_cell_angle_beta 102.67
_cell_angle_gamma 90.00
_space_group_name_H-M_alt 'C 1 2/m 1'
_space_group_IT_number 12
_space_group_name_Hall '-C 2y'
loop_
_atom_site_label
_atom_site_type_symbol
_atom_site_fract_x
_atom_site_fract_y
_atom_site_fract_z
Ca1 Ca 0.000 0.237 0.000
Ca2 Ca 0.121 0.233 0.500
Ca3 Ca 0.209 0.000 0.132
Ge1 Ge 0.212 0.500 0.249
N1 N 0.072 0.000 0.242
```

Computed powder X-ray diffraction pattern
Compound: Pr3NdAs4
Radiation: Cu Kα X-rays
Structure: a PBE-relaxed structure
Intensities are scaled so that the largest is 100.

Top 6 peaks for 2θ from 10° to 80°, in order of rising 2θ:
(hkl), two_theta, intensity
1 1 1, 25.4, 17
2 0 0, 29.4, 100
2 2 0, 42.0, 75
2 2 2, 52.1, 27
4 2 0, 69.1, 34
4 2 2, 76.8, 25

Cell and atoms:
```
data_Pr3NdAs4
_cell_length_a 6.078
>>>
Extending love and kindness to ‘the stranger’ is central to Jewish ethics. The insistence that we care for the stranger is mentioned more times in the Torah than any other commandment. Our sacred texts insist that we turn our own historical experiences of being outsiders in a foreign land, something my own parents experienced, into compassion for those experiencing the same today. As Jews, we are obligated to make sure that those of us who were not born in our community are as safe, and as healthy, as those of us who were. And as Marylanders, we are obligated to take the lead in national policy by extending healthcare to everyone, regardless of immigration status, through the Maryland Health Benefit Exchange.
On behalf of Jews United for Justice, I respectfully urge this committee to return a favorable report on SB365/HB588 with an amendment that ensures newly qualified individuals will receive the same subsidy rate as all other individuals covered under the Affordable Care Act.